Best Sales Management Training | Best Sales Training Program | When Is The Right Time To Increase Yo

If you increase your prices you can increase your profit margins. The question is can you do that? People do not buy on price alone and if you raised your prices what impact could it have on the business that you do?
If you raised your prices you may be able to afford to do some of the things that would add value to your service and make you stand out from the crowd.
Raising prices might result in you losing the bottom end of your customer base. You may want to lose this bottom end because it contains low-priced jobs that take time and effort to service. It may be preferable to go up-market and do less for more. Increasing prices may only affect some of the business that you have; others may not even notice. Think about your local restaurant, if they raised the price of your favourite main course dish from $20.00 to $25.00 would you stop ordering it?
Why is timing important?
If you are going to raise your prices, doing it in the right way at the right time is important. Your loyal regular customers will need advance warning of any price rises ensuring that they are not taken by surprise.
You will also need to consider the impact of financial year ends to make sure that any price increases happen before budgeting periods. It is best to make it as easy as possible for your existing customers to adapt to those price increases.
How and when you raise your prices will depend on the type of business you are in. A retail business for example could raise its prices any time, whereas a trade or manufacturing business which supplies products for resale would need to plan ahead and choose the right time for their customers.
New year or at the start of your financial year can be a good time to move forward with price increases. Following a sale, introducing new stock, a refurbishment or a move to new premises can be triggers to raise prices. If you can show your customers that you have raised your game as well as your prices and are now offering more value than you were before, it will make it easier for any changes to be accepted.
What is the right increase to make?
This will depend on a number of important factors.
What you want to achieve with your price increase.
How much will or will not influence business.
What additional value you are able to offer to justify the price.
_These molecular data were left in the entry by mistake_
~~~
No. 1
20
Properties=species:S:1:pos:R:3 method="wB97M-V/def2-TZVPD" molar_mass_g_mol=112.18 spin_multiplicity=1 e_lumo_ev=0.8
C -1.91777 -0.21680 -0.90521
C -0.71129 -0.06043 0.06112
C 0.39072 1.21160 -0.37494
C 1.43474 0.49020 0.41454
C 2.64091 -0.12852 -0.08576
C 0.10494 -1.34095 0.29296
H -2.49167 0.71224 -0.75947
H -1.50326 -0.29110 -1.90808
H -2.42334 -1.21958 -0.86174
H -1.55514 1.39403 1.19045
H -2.62091 -0.26336 1.14480
H 0.64350 1.37088 -1.60907
H 0.17564 2.27950 -0.10237
H 1.58067 0.31749 1.47412
H 3.37855 -0.10729 0.74363
H 3.24525 0.28052 -0.85674
H 0.09565 -1.87972 1.25659
H -0.52744 -2.04893 -0.23012
N -1.31517 0.31950 1.33024
N 1.37543 -0.81928 -0.21494

No. 2
20
Properties=species:S:1:pos:R:3 method="wB97M-V/def2-TZVPD" molar_mass_g_mol=112.18 smiles=C[C@@]12CNC[C@]1(C)N2 spin_multiplicity=1 e_lumo_ev=1.0
C -1.29495 1.52125 0.84316
C -0.85533 -0.05437 0.42244
C -0.84191 0.13961 -1.15530
C 1.42094 0.53576 0.17595
C 0.56372 -0.72287 0.67959
C 0.77059 -1.86966 -0.28634
H -2.35520 1.56212 0.94665
H -0.88138 2.12934 0.01653
H -0.97745 1.91292 1.76649
H -1.50942 0.93485 -1.64889
H -0.74093 -0.76252 -1.61310
H 1.03650 1.49007 -1.75251
H 1.51166 1.37654 0.94395
H 2.45193 0.40349 0.11887
H -0.30757 -2.15842 -0.81932
H 1.26305 -2.60425 0.39091
H 1.69740 -1.60061 -1.03409
H -0.96272 -1.84025 1.48232
N 0.62853 0.57700 -1.06010
N -0.61745 -0.96996 1.58279

No. 3
20
Properties=species:S:1:pos:R:3 method="wB97M-V/def2-TZVPD" molar_mass_g_mol=112.18 smiles=Cc1c[nH]cn1.CC spin_multiplicity=1 e_lumo_ev=0.9
C 2.11336 -0.99318 -2.47984
C -1.04271 0.26256 -1.42039
C 0.95569 -0.16726 -2.19444
C 0.89856 1.15332 -1.83767
N -0.25745 -0.71968 -1.74575
N -0.34703 1.47538 -1.40576
H -2.06307 0.25120 -1.06921
H -0.63768 2.41745 -1.23596
H 1.54972 2.00993 -2.05068
H 3.06059 -0.45728 -2.60390
H 1.92765 -1.64562 -3.34067
H 2.29615 -1.70859 -1.68387
C -0.41308 -0.07969 2.59618
C -1.76039 -0.42659 3.19024
H 0.42620 -0.19946 3.29246
H -0.06701 -0.71080 1.76947
H -0.29781 0.94068 2.21869
H -1.77311 -1.46557 3.51812
H -1.95439 0.29565 3.98036
H -2.61418 -0.23246 2.50264

No. 4
20
Properties=species:S:1:pos:R:3 method="wB97M-V/def2-TZVPD" molar_mass_g_mol=112.18 spin_multiplicity=1 e_lumo_ev="1.1 / 1.0"
C -0.74723 -1.48240 0.36252
C -1.73436 -0.53496 -0.25854
C 0.68450 -1.15963 -0.11218
C -1.57642 0.90879 0.30404
C 0.91184 0.33593 -0.10629
C 3.18861 0.96357 0.05368
N -2.66861 1.81876 0.00845
N 1.82767 1.17853 -0.10531
H -0.86703 -1.48961 1.51718
H -1.01255 -2.52676 0.06726
H -1.32253 -0.46863 -1.33230
H -2.76785 -0.91904 -0.19986
H 1.26822 -1.52555 0.73799
H 0.94003 -1.41563 -1.21154
H -2.41948 2.66032 0.45139
H -1.22253 0.86353 1.38128
H 3.21229 0.14893 0.87572
H 3.57450 0.56961 -0.94448
H 3.69260 1.82697 0.32989
H -2.84840 1.79689 -0.96959

No. 5
20
Properties=species:S:1:pos:R:3 method="wB97M-V/def2-TZVPD" molar_mass_g_mol=112.18 smiles=Cc1c[nH]cn1.CC spin_multiplicity=1 e_lumo_ev=0.9
C -0.36369 2.08417 0.45397
C 2.77624 0.41606 -0.22898
C 0.85792 1.21776 0.58978
~~~
_Back to the entry_
Market conditions.
What your competitors are doing.
Could you increase your prices?
What would you want to achieve by it?
What impact would raising your prices by 10% have on your business?
When would be the best time to do this?
What additional value could you offer to justify the price increase?
How would you communicate this to your customers?
People don’t usually buy on price and if they do they don’t always get the value they anticipated. Many people don’t even notice the price. Consider where you could charge more for what you offer and try it. Enjoy the positive impact it has on you and your business.